-- To do --
Search the block further down for the word "using" and set down each line that has it.

-- Entries --
The following is a theoretical powder diffraction line list of BaFeCuF7. It was derived from a DFT-relaxed cell (PBE+U, Alexandria), using Cu Ka.

Structural model:
Lattice parameters (Å, degrees): 7.4630 7.4630 5.7032 110.74 110.74 86.48
Positions (direct):
Ba  0.1809  0.8191  0.5000
Ba  0.8191  0.1809  0.0000
Fe  0.2047  0.4250  0.8548
Fe  0.4250  0.2047  0.3548
Cu  0.5918  0.7871  0.1264
Cu  0.7871  0.5918  0.6264
F  0.0737  0.4636  0.5209
F  0.0854  0.1777  0.7516
F  0.1777  0.0854  0.2516
F  0.3261  0.6921  0.0219
F  0.3282  0.4199  0.2299
F  0.4199  0.3282  0.7299
F  0.4636  0.0737  0.0209
F  0.5394  0.9905  0.4741
F  0.5567  0.7058  0.7475
F  0.6921  0.3261  0.5219
F  0.7058  0.5567  0.2475
F  0.8307  0.9168  0.2278
F  0.9168  0.8307  0.7278
F  0.9905  0.5394  0.9741

Most intense lines, 10 to 90 degrees two-theta, by angle:
24.95°, I 100; 25.43°, I 81; 26.43°, I 83; 29.52°, I 40; 30.56°, I 33; 31.40°, I 37; 38.81°, I 25; 39.97°, I 54; 40.26°, I 31; 41.94°, I 27; 51.86°, I 35; 54.61°, I 29

-- Here it is --
The following is a theoretical powder diffraction line list of BaFeCuF7. It was derived from a DFT-relaxed cell (PBE+U, Alexandria), using Cu Ka.